Give back the listing underneath word for word, please.

No. 1
{
  "formula": "CH2ClNO2S",
  "method": "ωB97M-V with the def2-TZVPD basis set",
  "elements": ["S", "H", "C", "O", "N", "H", "O", "Cl"],
  "coordinates": [[1.8933, -0.4059, 0.0384], [0.8215, 2.6516, 1.2045], [-1.9935, -1.0493, -0.2984], [0.8861, -0.8203, 1.0381], [-2.3460, -0.2799, -1.0846], [-1.7381, -1.6420, 0.4435], [1.5373, -0.6715, -1.3195], [0.9395, 2.2172, -0.0219]],
  "lowdin_charge": [0.75, -0.16, -0.07, -0.49, 0.07, 0.00, -0.45, 0.35],
  "homo_lumo_gap_ha": 0.3864,
  "e_homo_ha": -0.4241,
  "relative_energy_kcal_mol": 35.1,
  "total_charge": 0,
  "energy_ev": -30010.6847
}

---

No. 2
{
  "formula": "InNO3",
  "method": "ωB97M-V with the def2-TZVPD basis set",
  "elements": ["In", "O", "O", "O", "N"],
  "coordinates": [[24.8986, 9.5653, -11.1338], [21.8256, 11.4440, -11.4694], [23.9694, 11.3027, -11.4937], [22.8600, 9.8040, -10.6828], [22.8661, 10.9042, -11.2127]],
  "lowdin_charge": [2.03, 0.37, 0.04, 0.07, -0.51],
  "homo_lumo_gap_ha": 0.1952,
  "e_homo_ha": -0.8316,
  "relative_energy_kcal_mol": 27.9,
  "total_charge": 2,
  "energy_ev": -12775.5217
}

---

No. 3
{
  "formula": "C14H10CrO3S6Sb",
  "method": "ωB97M-V with the def2-TZVPD basis set",
  "elements": ["H", "Sb", "Cr", "C", "H", "C", "C", "H", "C", "C", "C", "C", "C", "C", "H", "C", "O", "C", "O", "S", "C", "H", "H", "H", "H", "C", "S", "S", "S", "S", "S", "O", "H", "H", "C"],
  "coordinates": [[-4.8995, -0.7349, -1.3674], [-1.6254, 3.7789, 1.2951], [-2.1410, 1.4089, -0.6058], [0.3752, -1.3044, -3.5267], [-0.4841, 0.5332, -2.5897], [3.0157, -0.0613, 1.0041], [3.9307, 2.0175, 0.5729], [2.9619, -1.0770, 1.3762], [-0.8465, -1.6251, 3.3028], [1.9648, 0.5585, 0.3980], [1.1478, -2.3391, -3.1075], [-0.7458, -1.9683, 1.0155], [0.5557, 0.0789, 0.0247], [0.0969, -0.3697, -2.4747], [-0.0049, -1.2068, -4.5353], [0.0063, -0.8376, 1.1243], [-2.9598, -0.6874, -0.7687], [-1.2365, -2.4297, 2.2733], [-4.0584, 1.1079, -1.4470], [-1.7726, 3.7860, -1.0787], [0.6618, -0.7145, -1.2951], [-1.0948, -1.7174, 4.3491], [-0.9994, -2.4128, 0.0630], [1.4955, -3.1873, -3.6782], [-1.8736, -3.2960, 2.3957], [4.1632, 0.7855, 1.1104], [0.0903, -0.3177, 2.7531], [1.6022, -2.1416, -1.4751], [-2.1712, 5.8092, 2.2609], [2.3404, 2.1651, -0.0246], [-3.0004, 1.9698, 1.8756], [-0.1990, 1.1954, -0.1473], [4.6040, 2.8620, 0.5513], [5.0980, 0.4970, 1.5765], [-3.9974, -0.1252, -1.2007]],
  "lowdin_charge": [0.12, 0.10, 0.23, -0.19, 0.10, -0.16, -0.45, 0.10, -0.44, -0.48, -0.46, -0.14, -0.63, -0.11, 0.09, -0.45, -0.11, -0.19, -0.15, -0.14, -0.44, 0.05, 0.10, 0.05, 0.09, -0.21, 1.04, 1.03, -0.43, 1.09, -0.18, -0.42, 0.05, 0.08, -0.55],
  "spin_multiplicity": 6,
  "homo_lumo_gap_ha": [0.1781, 0.2097],
  "e_homo_ha": [-0.0268, -0.0585],
  "relative_energy_kcal_mol": 0.0,
  "total_charge": -2,
  "energy_ev": -120797.2303
}

---

No. 4
{
  "formula": "C2H4ClO",
  "method": "ωB97M-V with the def2-TZVPD basis set",
  "elements": ["Cl", "H", "H", "H", "C", "O", "C", "H"],
  "coordinates": [[-2.1672, 0.1566, -0.5931], [0.8139, -1.5423, -0.7713], [0.3369, 2.2422, -0.0556], [-2.9838, -0.5664, 0.0734], [1.0117, -0.8729, 0.0991], [1.0133, 0.3406, 0.0317], [1.1149, 1.5054, 0.1151], [0.8602, -1.2632, 1.1007]],
  "lowdin_charge": [0.35, 0.17, 0.13, -0.21, 0.14, -0.01, 0.28, 0.15],
  "homo_lumo_gap_ha": [0.3217, 0.3210],
  "e_homo_ha": [-0.5647, -0.5642],
  "relative_energy_kcal_mol": 93.5,
  "total_charge": 1,
  "energy_ev": -16695.0064
}

---

No. 5
{
  "formula": "C5H13N2",
  "method": "ωB97M-V with the def2-TZVPD basis set",
  "elements": ["N", "H", "C", "H", "H", "H", "H", "H", "H", "H", "H", "C", "C", "C", "C", "H", "N", "H", "H", "H"],

No. 1
{
  "formula": "CH2ClNO2S",
  "method": "ωB97M-V with the def2-TZVPD basis set",
  "elements": ["S", "H", "C", "O", "N", "H", "O", "Cl"],
  "coordinates": [[1.8933, -0.4059, 0.0384], [0.8215, 2.6516, 1.2045], [-1.9935, -1.0493, -0.2984], [0.8861, -0.8203, 1.0381], [-2.3460, -0.2799, -1.0846], [-1.7381, -1.6420, 0.4435], [1.5373, -0.6715, -1.3195], [0.9395, 2.2172, -0.0219]],
  "lowdin_charge": [0.75, -0.16, -0.07, -0.49, 0.07, 0.00, -0.45, 0.35],
  "homo_lumo_gap_ha": 0.3864,
  "e_homo_ha": -0.4241,
  "relative_energy_kcal_mol": 35.1,
  "total_charge": 0,
  "energy_ev": -30010.6847
}

---

No. 2
{
  "formula": "InNO3",
  "method": "ωB97M-V with the def2-TZVPD basis set",
  "elements": ["In", "O", "O", "O", "N"],
  "coordinates": [[24.8986, 9.5653, -11.1338], [21.8256, 11.4440, -11.4694], [23.9694, 11.3027, -11.4937], [22.8600, 9.8040, -10.6828], [22.8661, 10.9042, -11.2127]],
  "lowdin_charge": [2.03, 0.37, 0.04, 0.07, -0.51],
  "homo_lumo_gap_ha": 0.1952,
  "e_homo_ha": -0.8316,
  "relative_energy_kcal_mol": 27.9,
  "total_charge": 2,
  "energy_ev": -12775.5217
}

---

No. 3
{
  "formula": "C14H10CrO3S6Sb",
  "method": "ωB97M-V with the def2-TZVPD basis set",
  "elements": ["H", "Sb", "Cr", "C", "H", "C", "C", "H", "C", "C", "C", "C", "C", "C", "H", "C", "O", "C", "O", "S", "C", "H", "H", "H", "H", "C", "S", "S", "S", "S", "S", "O", "H", "H", "C"],
  "coordinates": [[-4.8995, -0.7349, -1.3674], [-1.6254, 3.7789, 1.2951], [-2.1410, 1.4089, -0.6058], [0.3752, -1.3044, -3.5267], [-0.4841, 0.5332, -2.5897], [3.0157, -0.0613, 1.0041], [3.9307, 2.0175, 0.5729], [2.9619, -1.0770, 1.3762], [-0.8465, -1.6251, 3.3028], [1.9648, 0.5585, 0.3980], [1.1478, -2.3391, -3.1075], [-0.7458, -1.9683, 1.0155], [0.5557, 0.0789, 0.0247], [0.0969, -0.3697, -2.4747], [-0.0049, -1.2068, -4.5353], [0.0063, -0.8376, 1.1243], [-2.9598, -0.6874, -0.7687], [-1.2365, -2.4297, 2.2733], [-4.0584, 1.1079, -1.4470], [-1.7726, 3.7860, -1.0787], [0.6618, -0.7145, -1.2951], [-1.0948, -1.7174, 4.3491], [-0.9994, -2.4128, 0.0630], [1.4955, -3.1873, -3.6782], [-1.8736, -3.2960, 2.3957], [4.1632, 0.7855, 1.1104], [0.0903, -0.3177, 2.7531], [1.6022, -2.1416, -1.4751], [-2.1712, 5.8092, 2.2609], [2.3404, 2.1651, -0.0246], [-3.0004, 1.9698, 1.8756], [-0.1990, 1.1954, -0.1473], [4.6040, 2.8620, 0.5513], [5.0980, 0.4970, 1.5765], [-3.9974, -0.1252, -1.2007]],
  "lowdin_charge": [0.12, 0.10, 0.23, -0.19, 0.10, -0.16, -0.45, 0.10, -0.44, -0.48, -0.46, -0.14, -0.63, -0.11, 0.09, -0.45, -0.11, -0.19, -0.15, -0.14, -0.44, 0.05, 0.10, 0.05, 0.09, -0.21, 1.04, 1.03, -0.43, 1.09, -0.18, -0.42, 0.05, 0.08, -0.55],
  "spin_multiplicity": 6,
  "homo_lumo_gap_ha": [0.1781, 0.2097],
  "e_homo_ha": [-0.0268, -0.0585],
  "relative_energy_kcal_mol": 0.0,
  "total_charge": -2,
  "energy_ev": -120797.2303
}

---

No. 4
{
  "formula": "C2H4ClO",
  "method": "ωB97M-V with the def2-TZVPD basis set",
  "elements": ["Cl", "H", "H", "H", "C", "O", "C", "H"],
  "coordinates": [[-2.1672, 0.1566, -0.5931], [0.8139, -1.5423, -0.7713], [0.3369, 2.2422, -0.0556], [-2.9838, -0.5664, 0.0734], [1.0117, -0.8729, 0.0991], [1.0133, 0.3406, 0.0317], [1.1149, 1.5054, 0.1151], [0.8602, -1.2632, 1.1007]],
  "lowdin_charge": [0.35, 0.17, 0.13, -0.21, 0.14, -0.01, 0.28, 0.15],
  "homo_lumo_gap_ha": [0.3217, 0.3210],
  "e_homo_ha": [-0.5647, -0.5642],
  "relative_energy_kcal_mol": 93.5,
  "total_charge": 1,
  "energy_ev": -16695.0064
}

---

No. 5
{
  "formula": "C5H13N2",
  "method": "ωB97M-V with the def2-TZVPD basis set",
  "elements": ["N", "H", "C", "H", "H", "H", "H", "H", "H", "H", "H", "C", "C", "C", "C", "H", "N", "H", "H", "H"],